Exercise >
Next, reproduce only the lines below with the word "F-43m" in them.

Data >
<<<
# 1
Density functional theory data (PBE) for a geometry-optimized Pm3ThRh3 structure.

a b c (Å): 7.6024 7.6024 7.6024
angles (deg): 68.97 68.97 68.97
Last column: nearest neighbours and their distance in Å.
Positions (direct):
Pm 0.8254 0.3602 0.1203  5 Rh 2.91-3.12
Rh 0.0531 0.4468 0.6874  2 Th 2.78-3.03, 4 Pm 2.91-3.07, 1 Rh 2.99
Pm 0.1746 0.6398 0.8797  5 Rh 2.91-3.12
Rh 0.5532 0.3126 0.9469  2 Th 2.78-3.03, 4 Pm 2.91-3.07, 1 Rh 2.99
Th 0.3234 0.3234 0.3234  6 Rh 2.78-3.03
Pm 0.3602 0.1203 0.8254  5 Rh 2.91-3.12
Rh 0.6874 0.0531 0.4468  2 Th 2.78-3.03, 4 Pm 2.91-3.07, 1 Rh 2.99
Rh 0.9469 0.5532 0.3126  2 Th 2.78-3.03, 4 Pm 2.91-3.07, 1 Rh 2.99
Rh 0.3126 0.9469 0.5532  2 Th 2.78-3.03, 4 Pm 2.91-3.07, 1 Rh 2.99
Rh 0.4468 0.6874 0.0531  2 Th 2.78-3.03, 4 Pm 2.91-3.07, 1 Rh 2.99
Pm 0.6398 0.8797 0.1746  5 Rh 2.91-3.12
Th 0.6766 0.6766 0.6766  6 Rh 2.78-3.03
Pm 0.1203 0.8254 0.3602  5 Rh 2.91-3.12
Pm 0.8797 0.1746 0.6398  5 Rh 2.91-3.12

Results
Density of states at the Fermi level ... 9.8 states/eV per cell
Energy relative to the elements ... -0.6734 eV/atom
Raw total energy ... -6.920 eV per atom
Total magnetization ... 0.0 μB/f.u.
Calculated volume ... 369 Å³/cell
Symmetry ... R-3, No. 148

# 2
Density functional theory data (PBE) for a geometry-optimized Pm3YTh2S6 structure.

a b c (Å): 6.9501 6.9501 6.9677
angles (deg): 99.61 99.61 119.85
Last column: nearest neighbours and their distance in Å.
Positions (direct):
S 0.5902 0.9176 0.7525  1 Y 2.80, 3 Pm 2.83-2.88, 2 Th 2.85
S 0.2444 0.2444 0.7517  1 Y 2.80, 3 Pm 2.83-2.89, 2 Th 2.85
S 0.0824 0.4098 0.2475  1 Y 2.80, 3 Pm 2.83-2.88, 2 Th 2.85
Th 0.3332 0.6668 0.0000  6 S 2.85
Pm 0.8327 0.1673 0.5000  6 S 2.83-2.88
Y 0.0000 0.0000 0.0000  6 S 2.80
Th 0.6668 0.3332 0.0000  6 S 2.85
S 0.4098 0.0824 0.2475  1 Y 2.80, 3 Pm 2.83-2.88, 2 Th 2.85
S 0.9176 0.5902 0.7525  1 Y 2.80, 3 Pm 2.83-2.88, 2 Th 2.85
S 0.7556 0.7556 0.2483  1 Y 2.80, 3 Pm 2.83-2.89, 2 Th 2.85
Pm 0.5000 0.5000 0.5000  6 S 2.83-2.89
Pm 0.1673 0.8327 0.5000  6 S 2.83-2.88

Results
Density of states at the Fermi level ... 6.7 states/eV per cell
Raw total energy ... -6.974 eV per atom
ΔE_f (raw) ... -1.948 eV/atom
Total magnetization ... 0.0 μB/f.u.
Calculated volume ... 275 Å³/cell
Symmetry ... C2/m, No. 12

# 3
Density functional theory data (PBE) for a geometry-optimized Ca2YHg structure.

a b c (Å): 6.8509 6.8509 5.6981
angles (deg): 65.38 65.38 32.63
Last column: nearest neighbours and their distance in Å.
Positions (direct):
Hg 0.5053 0.5053 0.4946  2 Y 3.06, 2 Ca 3.19
Y 0.2057 0.2057 0.2944  2 Hg 3.06
Ca 0.9986 0.9986 0.0014  4 Hg 3.44, 2 Y 3.76, 4 Ca 3.77-3.85
Ca 0.7904 0.7904 0.7096  2 Hg 3.19

Results
Density of states at the Fermi level ... 5.1 states/eV per cell
Energy relative to the elements ... -0.1911 eV/atom
Raw total energy ... -2.883 eV per atom
Total magnetization ... 0.0 μB/f.u.
Calculated volume ... 130 Å³/cell
Symmetry ... Imm2, No. 44

# 4
Density functional theory data (PBE) for a geometry-optimized LiCeNdGa structure.

a b c (Å): 5.2128 5.2128 5.2128
angles (deg): 60.00 60.00 60.00
Last column: nearest neighbours and their distance in Å.
Positions (direct):
Li 0.7500 0.7500 0.7500  4 Ce 3.19, 4 Nd 3.19
Nd 0.5000 0.5000 0.5000  4 Ga 3.19, 4 Li 3.19
Ce 0.0000 0.0000 0.0000  4 Li 3.19, 4 Ga 3.19
Ga 0.2500 0.2500 0.2500  4 Ce 3.19, 4 Nd 3.19

Results
Density of states at the Fermi level ... 8.5 states/eV per cell
Energy relative to the elements ... -0.1961 eV/atom
Raw total energy ... -4.107 eV per atom
Total magnetization ... 0.8 μB/f.u.
Calculated volume ... 100 Å³/cell
Symmetry ... F-43m, No. 216

# 5
Density functional theory data (PBE) for a geometry-optimized PrPuNi4 structure.

a b c (Å): 5.1321 5.1321 5.1321
angles (deg): 60.00 60.00 60.00
Last column: nearest neighbours and their distance in Å.
Positions (direct):
Pr 0.2500 0.2500 0.2500  12 Ni 3.01, 4 Pu 3.14
Ni 0.6263 0.1210 0.6263  6 Ni 2.54-2.59
Ni 0.6263 0.6263 0.1210  6 Ni 2.54-2.59
Ni 0.1210 0.6263 0.6263  6 Ni 2.54-2.59
>>>

Outcome >
Symmetry ... F-43m, No. 216